Given >
********
1.
2 unconnected molecules or ions with the total composition C7H18 in a non-equilibrium geometry, computed with the ωB97M-V functional and the def2-TZVPD basis.

Geometry (Å):
C (1.75, -2.65, 0.48)
C (0.84, -1.39, 0.33)
C (0.66, -0.64, 1.68)
C (1.56, -0.47, -0.67)
H (1.38, -3.34, 1.23)
H (2.73, -2.26, 0.78)
H (1.86, -3.12, -0.49)
H (-0.10, -1.67, -0.08)
H (1.24, 0.27, 1.65)
H (-0.39, -0.38, 1.83)
H (1.02, -1.28, 2.48)
H (1.06, -0.40, -1.65)
H (1.82, 0.51, -0.25)
H (2.51, -0.84, -1.09)
C (-2.13, 0.54, 0.01)
C (-2.05, 1.97, -0.48)
C (-0.81, 2.38, -1.24)
H (-3.01, -0.11, -0.12)
H (-2.05, 0.35, 1.09)
H (-1.40, 0.03, -0.61)
H (-2.94, 2.21, -1.07)
H (-2.29, 2.72, 0.29)
H (-0.94, 3.34, -1.72)
H (-0.01, 2.60, -0.52)
H (-0.33, 1.62, -1.83)

LUMO: 1.1211 eV
DFT total energy: -7549.876 eV
charge: 0
Kohn-Sham gap: 11.71 eV
largest force on an atom: 2.40 eV Å⁻¹
energy relative to the best compared isomer or geometry (same formula, charge and spin): 119.7 kJ/mol
HOMO energy: -10.59 eV
SMILES: CC(C)C.CCC

Löwdin population analysis, charges in e, atoms 1 to 4: number 1, C, carries -0.0905; number 2, C, carries -0.4442; number 3, C, carries -0.0624; number 4, C, carries -0.1078

---

2.
2 unconnected molecules or ions with the total composition C7H18 in a non-equilibrium geometry, computed with the ωB97M-V functional and the def2-TZVPD basis.

Geometry (Å):
C (1.17, -2.76, 1.29)
C (0.52, -1.51, 0.63)
C (1.57, -0.52, 0.36)
C (-0.06, -1.93, -0.83)
H (2.08, -3.07, 0.75)
H (0.43, -3.48, 1.09)
H (1.49, -2.69, 2.29)
H (-0.28, -0.86, 1.09)
H (2.37, -0.88, -0.22)
H (1.10, 0.37, -0.13)
H (2.09, -0.34, 1.31)
H (-0.37, -3.00, -0.77)
H (-0.83, -1.33, -1.07)
H (0.78, -2.06, -1.58)
C (-1.96, 2.58, 0.39)
C (-0.79, 1.69, -0.11)
C (-0.48, 2.21, -1.45)
H (-1.70, 2.79, 1.55)
H (-2.17, 3.37, -0.29)
H (-2.84, 2.10, 0.55)
H (-1.10, 0.60, -0.22)
H (-0.04, 1.78, 0.67)
H (0.46, 1.74, -1.85)
H (-0.11, 3.22, -1.39)
H (-1.33, 2.00, -2.06)

LUMO: 1.1050 eV
DFT total energy: -7548.799 eV
charge: 0
Kohn-Sham gap: 11.79 eV
largest force on an atom: 6.03 eV Å⁻¹
energy relative to the best compared isomer or geometry (same formula, charge and spin): 223.6 kJ/mol
HOMO energy: -10.68 eV
SMILES: CC(C)C.CCC

Löwdin population analysis, charges in e, atoms 1 to 4: number 1, C, carries -0.0700; number 2, C, carries -0.4386; number 3, C, carries -0.1510; number 4, C, carries -0.0517

---

3.
A molecular structure, C7H18AgO3P in a non-equilibrium geometry, computed with the ωB97M-V functional and the def2-TZVPD basis.

Geometry (Å):
C (-0.11, 0.58, 3.04)
O (-0.25, -0.31, 1.95)
C (-1.60, -0.51, 1.58)
C (-1.67, -1.61, 0.53)
C (-1.43, -1.18, -0.92)
C (-0.01, -1.44, -1.45)
P (1.32, -0.18, -0.87)
O (0.88, 0.93, -2.11)
C (0.89, 2.23, -1.59)
C (1.89, 2.22, -0.39)
O (2.49, 0.96, -0.39)
H (-0.59, 1.54, 2.83)
H (-0.54, 0.16, 3.95)
H (0.95, 0.75, 3.20)
H (-2.18, -0.81, 2.47)
H (-2.03, 0.43, 1.21)
H (-0.95, -2.38, 0.82)
H (-2.67, -2.03, 0.60)
H (-1.69, -0.13, -1.09)
H (-2.14, -1.75, -1.54)
H (0.31, -2.46, -1.14)
H (0.01, -1.31, -2.55)
H (2.34, -0.84, -1.63)
H (1.74, -0.95, 0.32)
H (0.30, 0.42, -0.01)
H (-0.10, 2.54, -1.26)
H (1.21, 2.93, -2.36)
H (2.68, 2.97, -0.48)
H (1.36, 2.41, 0.55)
Ag (-0.41, -3.21, -3.26)

2S+1: 2
LUMO (spin up / spin down): -5.9763 / -6.3948 eV
DFT total energy: -26968.763 eV
charge: +1
Kohn-Sham gap (spin up / spin down): 6.62 / 6.09 eV
largest force on an atom: 1.09 eV Å⁻¹
HOMO energy (spin up / spin down): -12.60 / -12.49 eV

Löwdin population analysis, charges in e, atoms 1 to 4: number 1, C, carries -0.0914; number 2, O, carries -0.2534; number 3, C, carries -0.2447; number 4, C, carries -0.1657

---

4.
A molecular structure, C7H18BiClI2OP2 in a non-equilibrium geometry, computed with the ωB97M-V functional and the def2-TZVPD basis.

Geometry (Å):
I (-0.01, -1.75, -5.05)
I (-0.02, 2.69, -2.64)
Bi (0.00, 0.86, -0.44)
P (-2.69, 0.30, 0.16)
C (-3.76, 0.00, -1.26)
C (-3.05, -1.24, 1.09)
H (-4.11, -1.18, 1.37)
H (-4.70, 1.09, 1.28)
H (-2.44, -1.23, 2.00)
********

Job >
What is needed: reproduce every line above that contains the word "ions".

Done >
2 unconnected molecules or ions with the total composition C7H18 in a non-equilibrium geometry, computed with the ωB97M-V functional and the def2-TZVPD basis.
2 unconnected molecules or ions with the total composition C7H18 in a non-equilibrium geometry, computed with the ωB97M-V functional and the def2-TZVPD basis.